Wednesday, March 12, 2008

The Case of the Absent Blogger

If you're reading this post, you may have noticed that my week off around Thanksgiving turned into a several month hiatus. Oops. A convergence of personal life stresses, graduate school pressures, a new job position, and a general lack of creative or productive feelings did me in.


I'm feeling much better now. My personal life is going swimmingly, I think I've got graduate school and my new job under control (for the moment, at least), and I've got creative juices flowing every which way (it's a messy image for a messy process). So I suppose this post represents my triumphant return to the world of fashion blogging--or at least a return. Triumphant remains to be seen, I suppose.

In the last few weeks, my creative energies have been working in a couple of fashion-related directions. One simply consists of dressing myself. I've felt much more experimental in the last few weeks and I think this experimentation has paid off.

Fuchsia & Black
This outfit was featured as one of Tricia Royal's wardrobe_remixers of the week last week, which just makes me all kinds of happy. It's such a nice feeling to have other people with awesome taste and style think you have awesome taste and style, too.

## Attached: calculated crystals
........
The following is a DFT calculation (GGA-PBE) of a geometry-optimized CeZrO4 structure.

a b c (Å): 6.447 6.447 6.447
angles (deg): 34.06 34.06 34.06
Fractional coordinates of all 6 atoms:
O (0.121, 0.121, 0.121)
Ce (0.500, 0.500, 0.500)
O (0.370, 0.370, 0.370)
Zr (0.000, 0.000, 0.000)
O (0.879, 0.879, 0.879)
O (0.630, 0.630, 0.630)

Space-group type: R-3m
Energy of formation in eV/atom: -3.809
Energy with MP2020 corrections in eV per atom: -9.521


(1)
The following is a PBE calculation of RuBr3 after structural relaxation, from Materials Project.

Output
Formation energy from the elements = -722 meV per atom

The structure in POSCAR format:
```
RuBr3
1.0
5.926 0.000 0.000
0.000 7.142 0.000
0.000 0.000 12.413
Br Ru
12 4
Direct
0.500 0.603 0.858 Br
0.000 0.889 0.858 Br
0.500 0.031 0.000 Br
0.000 0.461 0.000 Br
0.000 0.397 0.358 Br
0.500 0.111 0.358 Br
0.000 0.969 0.500 Br
0.500 0.603 0.142 Br
0.000 0.397 0.642 Br
0.500 0.111 0.642 Br
0.000 0.889 0.142 Br
0.500 0.539 0.500 Br
0.750 0.746 0.000 Ru
0.250 0.254 0.500 Ru
0.250 0.746 0.000 Ru
0.750 0.254 0.500 Ru
```

(2)
The following is a PBE calculation of Nd2Ni2Sn after structural relaxation, from Materials Project.

Output
Formation energy from the elements = -520 meV per atom

The structure in POSCAR format:
```
Nd2Ni2Sn
1.0
-3.243 2.087 4.048
-1.176 4.955 -2.309
-0.892 -5.313 -1.496
Ni Sn Nd
2 1 2
Direct
0.708 0.500 0.208 Ni
........

I've had the wrap skirt for a couple of years. I bought it in a random boutique in Evanston, IL, on my first trip up to visit a friend in Chicago. The fuchsia dress is a recent purchase, bought without having a chance to try it on properly because I could not pass up the color and the collar. The leggings and socks are from Target, and the shoes have been in my closet for years. I've rediscovered them recently, though, and have been wearing the heck out of them.

Feelin' Crafty:  Mar. 6, 2008
This is the other direction my creative energies have been working: embroidery. Here I'm embroidering a naughty word onto a paisley tie. This is a test tie, a prototype, if you will, for a larger project I'd like to undertake of embroidering various designs (not all naughty words) onto ties. Right now I'm in the bettering-my-skills-and-drafting-ideas stage, but I look forward to continuing to do more of this kind of thing. I also have some ideas for jewelry that I'll be featuring as they take more concrete form.


Della Street Dreaming said...

Glad that you have started blogging again. I couldn't get into the blog from the link on your latest WR posting - I had to go into your profile, if that makes sense.
Sue (middleagedteacher)

Christy said...

Oops. Thanks for letting me know about the broken link. I went back and fixed it.